The reader should work out how many lines further down have the word "eV" in them; a number is enough.
- - -
1.
Here is TlFe2Au after structural relaxation from Alexandria via LeMat-Bulk. Energies are from GGA-PBE.

Structure (POSCAR):
```
TlFe2Au
1.0
2.9292 0.0000 0.0000
0.0000 3.9317 0.0000
-0.0129 0.0000 5.8763
Tl Fe Au
1 2 1
direct
0.0000 0.0000 0.0000 Tl
0.4993 0.5000 0.2848 Fe
0.5007 0.5000 0.7152 Fe
0.0000 0.0000 0.5000 Au
```

Summary:
As for the crystal system: monoclinic. The density of states at the Fermi level is 0.8731 states/eV/atom. For the total energy, the calculation gives -5.235 eV per atom.

2.
Here is TlFeAu2 after structural relaxation from Alexandria via LeMat-Bulk. Energies are from GGA-PBE.

Structure (POSCAR):
```
TlFeAu2
1.0
3.0042 0.0000 0.0000
0.0000 3.0042 0.0000
0.0000 0.0000 8.6211
Tl Fe Au
1 1 2
direct
0.0000 0.0000 0.0000 Tl
0.0000 0.0000 0.5000 Fe
0.5000 0.5000 0.3007 Au
0.5000 0.5000 0.6993 Au
```

Summary:
As for the crystal system: tetragonal. The density of states at the Fermi level is 0.6461 states/eV/atom. For the total energy, the calculation gives -4.164 eV per atom.

3.
Here is TlFe2Au2 after structural relaxation from Alexandria via LeMat-Bulk. Energies are from GGA-PBE.

Structure (POSCAR):
```
TlFe2Au2
1.0
-1.9853 1.9853 5.9020
1.9853 -1.9853 5.9020
1.9853 1.9853 -5.9020
Tl Fe Au
1 2 2
direct
0.0000 0.0000 0.0000 Tl
0.4052 0.4052 0.0000 Fe
0.5948 0.5948 0.0000 Fe
0.2500 0.7500 0.5000 Au
0.7500 0.2500 0.5000 Au
```

Summary:
As for the crystal system: tetragonal. The density of states at the Fermi level is 0.9362 states/eV/atom. For the total energy, the calculation gives -4.772 eV per atom.

no.,DFT formation energy (eV/atom)
1,0.407
2,0.182
3,0.397

~~~~~

{
  "formula": "Li3V4FeO12",
  "functional": "PBE with a Hubbard U",
  "state": "optimized geometry",
  "cell": [[-1.695, -4.418, -1.761], [4.792, -0.942, -2.191], [1.602, -3.135, 6.527]],
  "species": ["O", "O", "O", "O", "Li", "O", "O", "V", "V", "Li", "V", "Li", "O", "O", "O", "O", "O", "O", "Fe", "V"],
  "fractional_positions": [[0.124, 0.965, 0.265], [0.181, 0.280, 0.588], [0.308, 0.157, 0.960], [0.169, 0.655, 0.953], [0.004, 0.568, 0.214], [0.288, 0.780, 0.588], [0.826, 0.665, 0.468], [0.996, 0.995, 0.482], [0.511, 0.506, 0.010], [0.496, 0.067, 0.715], [0.007, 0.010, 0.995], [0.508, 0.070, 0.212], [0.811, 0.267, 0.077], [0.691, 0.774, 0.081], [0.634, 0.460, 0.757], [0.697, 0.149, 0.454], [0.386, 0.462, 0.268], [0.874, 0.957, 0.773], [0.998, 0.581, 0.712], [0.489, 0.491, 0.498]],
  "spacegroup": "P1 (1)",
  "mass_density_g_cm3": 3.931,
  "e_above_lowest_polymorph_mev_per_atom": 23
}

~~~~~

A plane-wave DFT calculation with meta-GGA SCAN was carried out for a PBEsol-optimized structure of Li2ZnAu.

Total magnetization ... 0.0 μB/cell
Calculated formation energy ... -535 meV per atom

extended XYZ file:
```
4
Lattice="0.000 3.063 3.063 3.063 0.000 3.063 3.063 3.063 0.000" Properties=species:S:1:pos:R:3 pbc="T T T"
Li 0.000 0.000 0.000
Li 1.532 1.532 1.532
Zn 3.063 3.063 3.063
Au 4.595 4.595 4.595
```

---

A plane-wave DFT calculation with meta-GGA SCAN was carried out for a PBEsol-optimized structure of Si2BI.

Total magnetization ... 0.0 μB/cell
Uncorrected formation energy ... 0.636 eV/atom

extended XYZ file:
```
8
Lattice="-2.999 2.999 4.189 2.999 -2.999 4.189 2.999 2.999 -4.189" Properties=species:S:1:pos:R:3 pbc="T T T"
Si 4.498 0.789 -1.047
Si 0.789 1.499 1.047
Si -1.499 2.210 3.142
Si 2.210 1.499 5.236
B 0.000 0.000 0.000
B 0.000 2.999 2.094
I 2.999 0.000 2.094
I 0.000 0.000 4.189
```

---

A plane-wave DFT calculation with meta-GGA SCAN was carried out for a PBEsol-optimized structure of MgCuSiOs2.

Total magnetization ... 0.0 μB/cell
Uncorrected formation energy ... 1.098 eV/atom

extended XYZ file:
```
5
Lattice="4.352 0.000 0.000 0.000 4.352 0.000 0.000 0.000 4.589" Properties=species:S:1:pos:R:3 pbc="T T T"
Mg 0.000 0.000 0.000
Cu 2.176 2.176 0.000
Si 0.000 0.000 2.295
Os 0.000 2.176 2.295
Os 2.176 0.000 2.295
```

---
- - -
6